### File
# BaPtO3

A geometry-optimized BaPtO3 structure (PBE, the Materials Project).

Summary:
E_form ... -1.71 eV/atom
E (MP2020) ... -31.4 eV/cell
Electronic total energy ... -29.33 eV per cell
Crystal system ... cubic
SG ... Pm-3m

POSCAR file:
```
BaPtO3
1.0
4.138 0.000 0.000
0.000 4.138 0.000
0.000 0.000 4.138
Ba O Pt
1 3 1
Direct
0.000 0.000 0.000
0.500 0.500 0.000
0.500 0.000 0.500
0.000 0.500 0.500
0.500 0.500 0.500
```

---

# BaPtO7

A geometry-optimized BaPtO7 structure (PBE, the Materials Project).

Summary:
E_form ... -0.63 eV/atom
Electronic total energy ... -96.58 eV per cell
Crystal system ... monoclinic
SG ... P2_1/m

POSCAR file:
```
BaPtO7
1.0
4.978 0.000 0.000
0.000 6.780 0.000
0.000 2.103 7.696
O Pt Ba
14 2 2
Direct
0.250 0.355 0.914
0.750 0.678 0.557
0.513 0.583 0.193
0.517 0.112 0.241
0.983 0.112 0.241
0.987 0.583 0.193
0.487 0.417 0.807
0.250 0.878 0.868
0.017 0.888 0.759
0.013 0.417 0.807
0.750 0.122 0.132
0.483 0.888 0.759
0.750 0.645 0.086
0.250 0.322 0.443
0.250 0.351 0.190
0.750 0.649 0.810
0.250 0.750 0.440
0.750 0.250 0.560
```

---

# Ba20Ru11PtO48

A geometry-optimized Ba20Ru11PtO48 structure (PBE, the Materials Project).

Summary:
E_form ... -2.30 eV/atom
E (MP2020) ... -568.2 eV/cell
Electronic total energy ... -535.17 eV per cell
Crystal system ... monoclinic
SG ... Pm

POSCAR file:
```
Ba20Ru11PtO48
1.0
5.988 0.000 0.000
0.000 11.024 0.000
0.000 0.106 20.120
Ba O Ru Pt
20 48 11 1
Direct
0.500 0.802 0.255
0.500 0.452 0.676
0.000 0.387 0.530
0.000 0.550 0.326
0.500 0.952 0.824
0.500 0.473 0.074
0.500 0.301 0.245
0.000 0.026 0.574
0.000 0.185 0.371
0.500 0.973 0.426
0.500 0.814 0.630
0.000 0.686 0.130
0.000 0.887 0.970
0.500 0.113 0.031
0.000 0.698 0.755
0.000 0.526 0.926
0.000 0.048 0.175
0.500 0.315 0.869
0.500 0.613 0.470
0.000 0.198 0.744
0.000 0.612 0.475
0.726 0.193 0.484
0.762 0.760 0.370
0.772 0.307 0.981
0.732 0.904 0.103
0.000 0.108 0.023
0.732 0.405 0.397
0.772 0.984 0.293
0.233 0.263 0.130
0.234 0.093 0.896
0.000 0.781 0.248
0.766 0.093 0.896
0.000 0.279 0.254
0.268 0.904 0.103
0.228 0.984 0.293
0.273 0.516 0.793
0.000 0.309 0.858
0.000 0.963 0.419
0.500 0.388 0.524
0.725 0.693 0.016
0.500 0.720 0.748
0.262 0.240 0.629
0.767 0.263 0.130
0.263 0.740 0.871
0.238 0.760 0.370
0.272 0.016 0.707
0.500 0.219 0.752
0.226 0.807 0.516
0.500 0.536 0.919
0.738 0.240 0.629
0.500 0.037 0.581
0.737 0.740 0.871
0.768 0.487 0.209
0.768 0.595 0.603
0.232 0.595 0.603
0.727 0.516 0.793
0.228 0.307 0.981
0.275 0.693 0.016
0.232 0.487 0.209
0.000 0.809 0.640
0.500 0.888 0.975
0.500 0.691 0.140
0.268 0.405 0.397
0.774 0.807 0.516
0.728 0.016 0.707
0.274 0.193 0.484
0.000 0.460 0.083
0.500 0.192 0.360
0.500 0.305 0.431
0.000 0.878 0.327
0.500 0.122 0.673
0.000 0.786 0.442
0.500 0.715 0.942
0.500 0.214 0.558
0.000 0.695 0.569
0.000 0.384 0.179
0.000 0.193 0.928
0.500 0.621 0.827
0.500 0.805 0.069
0.000 0.283 0.055
```

~~~~~

This record from the Materials Project describes a geometry-optimized Na14Nb4Al4Si11SO48 structure. The functional is PBE-GGA.

Cell lengths 8.943, 15.499, 22.014 Å; angles 90.20, 90.07, 90.02 degrees
Space group P1 (No. 1)
Asymmetric unit:
Na1 0.000 0.000 0.000 (multiplicity 1)
Na2 0.000 0.659 0.669 (multiplicity 1)
Na3 0.001 0.690 0.333 (multiplicity 1)
Na4 0.002 0.363 0.998 (multiplicity 1)
Na5 0.044 0.348 0.668 (multiplicity 1)
Na6 0.049 0.673 0.997 (multiplicity 1)
Na7 0.171 0.176 0.246 (multiplicity 1)
Na8 0.178 0.512 0.583 (multiplicity 1)
Na9 0.179 0.845 0.917 (multiplicity 1)
Na10 0.181 0.510 0.083 (multiplicity 1)
Na11 0.186 0.182 0.755 (multiplicity 1)
Na12 0.189 0.848 0.420 (multiplicity 1)
Na13 0.307 0.680 0.499 (multiplicity 1)
Na14 0.309 0.345 0.163 (multiplicity 1)
Na15 0.310 0.017 0.835 (multiplicity 1)
Na16 0.357 0.690 0.834 (multiplicity 1)
Na17 0.362 0.033 0.167 (multiplicity 1)
Na18 0.364 0.992 0.500 (multiplicity 1)
Na19 0.365 0.363 0.501 (multiplicity 1)
Na20 0.366 0.659 0.167 (multiplicity 1)
Na21 0.488 0.495 0.997 (multiplicity 1)

### Work order
Say how many lines of the listing further up hold the word "Pt", as a bare number.

### Result
3